
He turned to the Daimons. "One step closer, and I snap her neck."

They exchanged a doubting frown.

"I mean it," he said as they looked like they were about to pounce. He increased the pressure on her carotid and jugular. Within seconds, she was out. Still, he waited a few seconds more, in case she was faking. At this point, he wouldn't put anything past her.

Once he was sure she was unconscious, he slid her to a dry spot on the floor. "All right, punks. Bring it."

The moment he took a step forward, they ran deeper into the tunnel.

Well, at least they weren't the infected Daimons who could convert him.

Jess started to go after them, but rethought it. It was too close to dawn, and right now he had the prize of all time.

The woman who'd been hunting them.

A woman he'd once known ...

"I can't believe you survived." But how? He had so many questions, they made him dizzy.

## The article is interrupted by quantum chemistry results
Density functional theory data (ωB97M-V/def2-TZVPD) for a molecular structure, C31H51N11Ti.

Results
LUMO level (spin up / spin down) = -5.52 / -5.52 eV
HOMO level (spin up / spin down) = -0.4237 / -0.4239 hartree
charge = +2
energy relative to the best compared isomer or geometry (same formula, charge and spin) = 38.8 kcal/mol
orbital gap (spin up / spin down) = 6.01 / 6.02 eV

XYZ file:
```
94
C31H51N11Ti (ωB97M-V/def2-TZVPD)
Ti 0.33828 -1.22307 0.50234
C 4.50344 -1.06821 1.72002
C 3.19424 -0.99244 1.00207
N 2.03072 -1.40560 1.53747
C 1.98516 -1.99494 2.87103
C 0.57476 -1.89132 3.45003
N -0.49188 -2.09724 2.43805
C -0.98718 -3.48273 2.34136
C 0.03909 -4.32374 1.61692
N 0.36182 -3.67724 0.33008
C -0.47326 -4.15399 -0.80633
C -1.29624 -2.99575 -1.35961
N -0.36155 -1.88920 -1.41926
C 0.31063 -1.52698 -2.45892
C 0.05874 -1.98519 -3.85931
C 1.50092 -0.76330 -2.12130
C 2.45084 -0.34715 -3.00545
C 3.72876 0.05472 -2.54090
C 4.02818 -0.13377 -1.22372
C 3.03734 -0.58064 -0.31925
N 1.72549 -0.73116 -0.74465
H 4.42365 -0.74579 2.75812
H 5.25073 -0.43973 1.24137
H 4.88707 -2.09127 1.72437
H 2.66066 -1.49619 3.56588
H 2.32336 -3.03417 2.82593
H 0.43368 -0.88737 3.83870
H 0.45702 -2.58923 4.28312
H -1.27561 -1.50236 2.69332
H -1.92559 -3.46264 1.78156
H -1.20233 -3.89789 3.32945
H -0.32427 -5.34424 1.47977
H 0.94848 -4.39113 2.21066
H 1.33029 -3.87432 0.11078
H -1.10893 -4.98553 -0.49986
H 0.18698 -4.51887 -1.59433
H -2.10094 -2.73255 -0.66545
H -1.76102 -3.25081 -2.31205
H 0.27827 -1.19516 -4.57488
H -0.96540 -2.31436 -4.00970
H 0.72099 -2.82285 -4.09004
H 2.26001 -0.38737 -4.06939
H 4.47552 0.39958 -3.24061
H 5.03237 0.03742 -0.86007
C 0.31623 3.86722 3.08153
N -0.19303 2.91542 2.09282
C -1.25581 3.47127 1.25318
C 0.35996 1.69661 1.94985
N -0.22946 0.64690 1.40012
C -1.65821 0.65462 1.22840
C -2.49197 0.59050 2.34255
C -3.86424 0.72196 2.22304
C -4.39620 0.95321 0.95784
C -3.58666 0.99422 -0.16140
C -2.19087 0.79852 -0.07600
N -1.33067 0.79001 -1.12482
C -1.60101 1.25187 -2.34429
N -2.33375 0.55605 -3.24318
C -3.30819 -0.43192 -2.80577
C -2.22261 0.69331 -4.69187
N -1.02501 2.41295 -2.74441
C 0.18867 2.89652 -2.10128
C -1.63175 3.36413 -3.67113
N 1.70336 1.55708 2.34438
C 2.04168 1.44459 3.75405
C 2.66118 2.32900 1.56441
H -0.50475 4.52464 3.35860
H 1.12218 4.48223 2.68049
H 0.64956 3.36775 3.98408
H -1.05167 4.53675 1.14607
H -2.24422 3.34440 1.69588
H -1.23000 3.02217 0.26971
H -2.03791 0.50812 3.32730
H -4.50213 0.68260 3.09434
H -5.46147 1.10699 0.84328
H -4.03193 1.20522 -1.12620
H -3.21212 -1.32819 -3.41806
H -4.32581 -0.05531 -2.92784
H -3.14470 -0.68318 -1.76349
H -1.27272 1.14550 -4.95739
H -3.03621 1.27654 -5.12462
H -2.26372 -0.30448 -5.12806
H 0.62541 2.09992 -1.50479
H -0.01668 3.76093 -1.46620
H 0.89254 3.20621 -2.87617
H -2.67445 3.11932 -3.84594
H -1.10276 3.42010 -4.62361
H -1.59605 4.34996 -3.20600
H 2.83485 0.70977 3.89670
H 1.17574 1.14288 4.34083
H 2.40672 2.39067 4.16717
H 2.39815 2.28056 0.50753
H 3.64537 1.87225 1.68074

Best thing to do would be to interrogate her and find out what was going on and why she had such a hard-on for them. Hoping he didn't live to regret this decision, he picked her up and carried her back to the street. Now that she wasn't trying to kick his jewels into his throat, he realized just how tiny she was. Very well muscled, but short.

Like Matilda.

He squelched that comparison quick. She was nothing like his mild-mannered, soft-spoken bride-to-be. No one was. It was why he'd fallen in love with her and why all these decades later, he still ached from the loss of her friendship.

The woman in his arms was like everyone else he'd ever met. Treacherous. Lethal. Only out for herself. Whatever he did, he couldn't let himself forget that. She wanted him dead, and if he didn't stop her, she'd kill him and then move on to the rest of his colleagues.

No good deed goes unpunished....

He'd protected her and her mother, and how did she pay him back? By trying to kill him.

How utterly typical.

Jess made it out as the sky was just starting to lighten. I better hurry and be quick about it.... It was getting a little too close at this point.

He hadn't gone far from the drain when he saw a police car driving by on the street.


What were the odds that they'd not see him and keep going? Probably about as good as them believing he was carrying his wife back to their room after a heavy night of drinking.

Yeah ...

He hadn't been that lucky in a long time. "I hope lockup doesn't have a window," he muttered under his breath.

The patrol car pulled up to the curb and stopped. "Hey, you there! Come over here."

Yeah, it was nice to know his bad luck was the only stable thing in his life.

Unrelated to this article: molecular data:
____________
No. 1
____________

Jess tightened his grip on Abigail as he debated his options. None of them were good, especially since he was packing an arsenal under his coat. One they were sure to object to if they discovered it.

Making sure to act nonchalant, he moseyed over to the car. "Yes, sir?"

The officer glanced down at Abigail. "Is there a problem?"

Uh, yeah. You people are bugging the shit out of me when I need to be rocketing home. Jess forced himself not to betray his annoyance. "Little too much to drink. I was taking her back to the casino where we're staying."

The man narrowed his gaze suspiciously. "You need a doctor?"